WCF Chapter 25: Of the Church

“A Christian without a church is a Christian in trouble.”[i] Like a lion hoping to snatch prey that wanders alone Satan aims to devour professing Christians who are disconnected from God’s family. We need the church.
To become persuaded of this truth we need to know what the church is. It isn’t an affinity group; a club we join because of shared circumstances and interests. It isn’t a teaching center that we visit whenever we feel the need for counsel. In this broken world, the church—which presently groans with the rest of creation—is an essential part of God’s rescue plan for lost sinners.
The Church Is the Gathering of God
What comes next are materials data, not part of the text:
********
No. 1
Compound: ZrScAl2O
Source: Alexandria via LeMat-Bulk
Functional: PBE
Structure: optimized geometry

```
ZrScAl2O
1.0
4.349 0.000 0.000
0.000 4.411 0.000
0.000 0.000 4.349
Al Zr O Sc
2 1 1 1
direct
0.000 0.000 0.500
0.500 0.000 0.000
0.000 0.500 0.000
0.000 0.000 0.000
0.500 0.500 0.500
```

Properties
The value obtained for the volume is 83.4 Å³/cell. As for the symmetry: No. 123. Its total energy is -6.336 eV/atom. The calculation puts the density of states at the Fermi level at 0.7548 states/eV per atom. As for the uncorrected formation energy: -0.87 eV per atom.

No. 2
Compound: AlSeO2
Source: Alexandria via LeMat-Bulk
Functional: PBE
Structure: optimized geometry

```
AlSeO2
1.0
0.531 6.761 1.585
1.410 5.467 4.077
3.311 5.837 1.862
Se O Al
1 2 1
direct
0.500 0.500 0.500
0.087 0.087 0.087
0.913 0.913 0.913
0.000 0.000 0.000
```

Properties
The value obtained for the volume is 50.6 Å³/cell. As for the symmetry: No. 166. Its total energy is -4.633 eV/atom. The calculation puts the density of states at the Fermi level at 0.2716 states/eV per atom. As for the uncorrected formation energy: -0.35 eV per atom. The calculation puts the energy above the most stable polymorph in this dataset at 1.397 eV/atom.

No. 3
Compound: AlSe2O
Source: Alexandria via LeMat-Bulk
Functional: PBE
Structure: optimized geometry

```
AlSe2O
1.0
-7.245 4.861 1.674
-5.651 5.519 4.066
-5.230 7.010 1.557
Al Se O
1 2 1
direct
0.000 0.000 0.000
0.101 0.101 0.101
0.899 0.899 0.899
0.500 0.500 0.500
```

Properties
The value obtained for the volume is 65.6 Å³/cell. As for the symmetry: No. 166. Its total energy is -3.477 eV/atom. The calculation puts the density of states at the Fermi level at 0.7194 states/eV per atom. As for the uncorrected formation energy: 0.44 eV per atom. The calculation puts the energy above the most stable polymorph in this dataset at 0.705 eV/atom.

No. 4
Compound: AlSe2O
Source: Alexandria via LeMat-Bulk
Functional: PBE
Structure: optimized geometry

```
AlSe2O
1.0
-4.597 1.999 -1.423
-1.951 -4.810 -0.454
-5.025 -1.250 4.939
O Al Se
2 2 4
direct
0.250 0.750 0.500
0.500 0.500 0.000
0.000 0.000 0.000
0.750 0.250 0.500
0.165 0.625 0.250
0.585 0.125 0.250
0.875 0.835 0.750
0.375 0.415 0.750
```

Properties
The value obtained for the volume is 166.5 Å³/cell. As for the symmetry: No. 122. Its total energy is -3.951 eV/atom. The calculation puts the density of states at the Fermi level at 0.2672 states/eV per atom. As for the uncorrected formation energy: -0.03 eV per atom. The calculation puts the energy above the most stable polymorph in this dataset at 0.231 eV/atom.

No. 5
Compound: Al3SeO6
Source: Alexandria via LeMat-Bulk
Functional: PBE
Structure: optimized geometry

```
Al3SeO6
1.0
-2.402 -0.344 -1.619
5.069 -3.241 -6.830
-4.644 -6.256 8.217
O Al Se
12 6 2
direct
0.250 0.302 0.207
0.750 0.627 0.447
0.250 0.373 0.553
0.750 0.031 0.422
0.250 0.978 0.083
0.250 0.969 0.578
0.250 0.703 0.301
0.750 0.698 0.793
0.250 0.638 0.010
0.750 0.022 0.917
********
The Greek word for church, ekklesia, means “gathering,” or “assembly.” Christ is building his church (Matt. 16:18); gathered believers, “like living stones are being built up as a spiritual house” (1 Peter. 2:5). The idea of the church as Christ’s gathering should be understood in at least two ways. First, the church is made up of everyone God is drawing “out of the entire human race … for himself.”[ii] The “whole number of the elect” is invisible to us; many haven’t been born yet. But the church, as it will exist visibly in glory, is already made up of everyone who is organically connected to Jesus by election. She is the true body of Christ (1 Cor. 12:27), his one bride (Rev. 21:2), and “the fullness of him who fills all in all” (Eph. 1:23). Scripture’s teaching on an invisible church warns against simply belonging to a congregation and not belonging to God by faith.
Second, the church is the people God gathers into local congregations. Believers “visibly profess the true religion” and assemble locally. The membership of particular churches is not identical to the names of those “enrolled in heaven” (Heb. 12:23). But every true congregation is a microcosm of Christ’s universal church. The church is more than a spiritual entity composed of elect persons. It is also tangible. Despite modern aversion to organized religion with rigorous expectations, that’s exactly how Scripture presents church. Professing believers, and the children they are discipling, gather as Christ’s visible body. Scripture’s teaching on a visible church warns against claiming to belong to Jesus while rejecting the family he is assembling.
As God’s gathering, the church is a manifestation of the kingdom of God on earth. Christ is uniquely present in the church to work God’s will in and through his people. Kingdom is broader than church. But the church is “the most important visible embodiment of the forces of the kingdom.”[iii] This is why “there is no ordinary possibility of salvation outside of the church”—those who have no interest in Christ’s body cannot claim an interest in its head.
## Misplaced records of crystals
- - -
# Cs2TlHg4Au2 (PBE, relaxed)
data_Cs2TlHg4Au2
_cell_length_a 5.000
_cell_length_b 7.555
_cell_length_c 9.015
_cell_angle_alpha 93.09
_cell_angle_beta 90.23
_cell_angle_gamma 108.92
_space_group_name_H-M_alt 'P -1'
_space_group_IT_number 2
loop_
_space_group_symop_operation_xyz
'x,y,z'
'-x,-y,-z'
loop_
_atom_site_label
_atom_site_type_symbol
_atom_site_fract_x
_atom_site_fract_y
_atom_site_fract_z
Cs1 Cs 0.136 0.276 0.188
Tl1 Tl 0.500 0.000 0.500
Hg1 Hg 0.125 0.253 0.669
Hg2 Hg 0.427 0.851 0.133
Au1 Au 0.298 0.597 0.504
# **Energy of formation**: -0.17 eV per atom

---

# La4MgIn2 (PBE, relaxed)
data_La4MgIn2
_cell_length_a 5.5163
_cell_length_b 5.5163
_cell_length_c 26.5057
_cell_angle_alpha 90.00
_cell_angle_beta 90.00
_cell_angle_gamma 120.00
_space_group_name_H-M_alt 'R -3 m'
_space_group_IT_number 166
_space_group_name_Hall '-R 3 2"'
loop_
_atom_site_label
_atom_site_type_symbol
_atom_site_fract_x
_atom_site_fract_y
_atom_site_fract_z
La1 La 0.0000 0.0000 0.1155
La2 La 0.0000 0.0000 0.3681
Mg1 Mg 0.0000 0.0000 0.5000
In1 In 0.0000 0.0000 0.2432
# **Energy of formation**: -0.29 eV per atom

---

# BaCrBr2 (PBE, relaxed)
data_BaCrBr2
_cell_length_a 4.080
_cell_length_b 4.080
_cell_length_c 7.795
_cell_angle_alpha 90.00
_cell_angle_beta 90.00
_cell_angle_gamma 90.00
_space_group_name_H-M_alt 'P 4/m m m'
_space_group_IT_number 123
_space_group_name_Hall '-P 4 2'
loop_
_atom_site_label
_atom_site_type_symbol
_atom_site_fract_x
_atom_site_fract_y
_atom_site_fract_z
Ba1 Ba 0.000 0.000 0.000
Cr1 Cr 0.000 0.000 0.500
Br1 Br 0.500 0.500 0.232
# **Energy relative to the elements, uncorrected**: -0.631 eV/atom

---

# MnZnIn4 (PBE, relaxed)
data_MnZnIn4
_cell_length_a 8.507
_cell_length_b 8.507
_cell_length_c 8.507
_cell_angle_alpha 90.00
_cell_angle_beta 90.00
_cell_angle_gamma 90.00
_space_group_name_H-M_alt 'F -4 3 m'
_space_group_IT_number 216
_space_group_name_Hall 'F -4 2 3'
loop_
_atom_site_label
_atom_site_type_symbol
_atom_site_fract_x
_atom_site_fract_y
_atom_site_fract_z
Mn1 Mn 0.000 0.000 0.000
Zn1 Zn 0.250 0.250 0.750
In1 In 0.125 0.125 0.375
# **Energy of formation**: 0.49 eV per atom

---

# MnIn4S6 (PBE, relaxed)
data_MnIn4S6
_cell_length_a 12.725
_cell_length_b 8.200
_cell_length_c 12.433
_cell_angle_alpha 90.00
_cell_angle_beta 115.09
_cell_angle_gamma 90.00
_space_group_name_H-M_alt 'C 1 c 1'
_space_group_IT_number 9
loop_
_space_group_symop_operation_xyz
'x,y,z'
'x,-y,z+1/2'
'x+1/2,y+1/2,z'
'x+1/2,-y+1/2,z+1/2'
loop_
_atom_site_label
_atom_site_type_symbol
_atom_site_fract_x
_atom_site_fract_y
_atom_site_fract_z
Mn1 Mn 0.000 0.238 0.000
In1 In 0.082 0.068 0.787
In2 In 0.211 0.486 0.320
In3 In 0.325 0.059 0.147
In4 In 0.452 0.237 0.939
S1 S 0.108 0.215 0.373
S2 S 0.181 0.229 0.986
S3 S 0.268 0.165 0.748
S4 S 0.395 0.293 0.291
S5 S 0.452 0.484 0.062
S6 S 0.485 0.000 0.082
# **Energy relative to the elements, uncorrected**: -0.463 eV/atom

---

# La2TlReBr (PBE, relaxed)
data_La2TlReBr
_cell_length_a 6.074
_cell_length_b 6.074
- - -
## Here the piece continues
The Church Is Shepherded by Christ
Jesus is the King of creation. So naturally, he is the Lord of the church. But the church is Christ’s special possession which he bought with his own blood (Acts 20:28; 1 Peter 2:9). No human leader can claim to be in charge of Christ’s church. Even proper spiritual leaders can only administer authority according to the rules of Scripture to which they themselves are bound. Jesus rules the church. But not as a tyrant. He loves the church and gave himself for her that she might become mature like him (Eph. 5:25–28).
And so Jesus provides his bride means for growth: “The ministry, oracles, and ordinances of God.” The ministry is more than the church’s ministers. Her “shepherds and teachers … equip the saints for the work of ministry, for building up the body of Christ” (Eph. 4:12). Pastors minister to help the church minister. God also provides the church with the oracles—the revelation of God’s will, and the ordinances—prescribed religious rites including a pattern of worship and the sacraments.
Jesus doesn’t merely provide tools for “the gathering and perfecting of the saints.” He also energizes the tools to make them fruitful! He makes the means of growth effectual. The church is and must be reliant on Christ. A congregation could be orderly and diligent in respecting the ministry, oracles, and ordinances but thoughtless about the promises and presence of Jesus. We mustn’t trust in programs but in Jesus’s pledge to make us like him. We need the Spirit’s help to make even our best efforts in the church worthwhile. Recognizing our utter inability to do this work we thank God “who in Christ always leads us in triumphal procession” (2 Cor. 2:14–16).
The Church Is a Work in Progress
Scripture ascribes to the church glorious attributes; it is the one, holy, catholic, and apostolic body of Jesus. But we don’t always see that. Without making any excuses for sin we need to realize that, like all of us individually, the church is under construction. A day is coming when Christ will “present the church to himself in splendor, without spot or wrinkle or any such thing, that she might be holy and without blemish” (Eph. 5:27). But that day has not yet come.
So, sometimes the church seems very weak. Elijah once thought he was one of the last remaining believers; he couldn’t see that God had reserved for himself seven thousand faithful prophets. But, no matter how diminished the church appears, there is always “a remnant chosen by grace” (Rom. 11:1–5).[iv]
And particular congregations struggle. True believers have many weaknesses (James 3:2). And there are hypocrites in the church (Matt. 13:24–30). But in our struggle we must strive for a divine standard. True gatherings of God manifest certain marks. First, churches must teach and embrace the true gospel. More than anything we must know God’s grace for lost sinners. But not in a simplistic way, mindlessly repeated. We must leave the elementary, simplistic “doctrine of Christ and go on to maturity” in our gospel teaching (Heb. 6:1). Second, churches must properly administer the ordinances or sacraments. Tucked into this mark is the requirement of church discipline by which the elders fence the Lord’s table (see ch. 30). If there are no rules for membership and no consequences for infidelity the church will not be holy. Third, faithful churches must worship biblically. The assembly’s directory for worship mandated worship services that were structured by and saturated with God’s word.
There is no perfect church. So we must have fair expectations. But we also must strive for perfection living out all that Scripture teaches about the church. “A church is a group of Christians who assemble as an earthly embassy of Christ’s heavenly kingdom to proclaim the good news and commands of Christ the King; to affirm one another as his citizens through the ordinances; and to display God’s own holiness and love through a unified and diverse people in all the world, following the teaching and example of elders.”[v] Church is God’s plan. So we should love it, unite with it, and trust God to perfe
William Boekestein pastors Immanuel Fellowship Church in Kalamazoo, Michigan. He has authored numerous books including, with Joel Beeke, Contending for the Faith: The Story of The Westminster Assembly.
[i] Collin Hansen and Jonathan Leeman, Rediscover Church: Why the Body of Christ Is Essential (Wheaton Ill: Crossway, 2021), 11.
[ii] Heidelberg Catechism, Q/A 54.
[iii] Louis Berkhof, Systematic Theology (Grand Rapids: Eerdmans, 1939), 570.
[iv] And we need not think that the remnant is small. See William Boekestein “Are Only Few People Saved?” The Gospel Coalition. March 13, 2019. https://www.thegospelcoalition.org/article/gospel-driven-church.
[v] Hansen and Leeman, Rediscover Church, 26.